• Data:
........
No. 1
# C4H8O3

2 unconnected molecules or ions with the total composition C4H8O3 (ωB97M-V with the def2-TZVPD basis set, the Open Molecules 2025 dataset).

The geometry in XYZ format:
```
15
Properties=species:S:1:pos:R:3:forces:R:3
C 1.870276 -0.382890 0.447321 -0.113 -0.105 -0.085
C 0.794845 -1.039042 0.018961 0.221 0.045 0.037
C 0.046024 -0.680835 -1.230733 0.217 -0.015 -0.088
O -1.364173 -0.542658 -0.971175 -0.085 0.103 0.057
C -1.793943 0.688653 -0.691891 0.135 0.301 -0.077
O -1.114529 1.685896 -0.672823 -0.291 -0.398 -0.034
H 2.420359 -0.706253 1.327584 -0.101 0.031 -0.126
H 2.239934 0.502649 -0.066226 -0.072 -0.144 0.032
H 0.427895 -1.912106 0.557630 0.056 0.114 -0.060
H 0.110044 -1.494549 -1.958132 0.005 0.105 0.085
H 0.427281 0.241944 -1.674121 -0.011 -0.141 0.059
H -2.875437 0.663358 -0.503199 0.122 0.023 0.019
O -0.659944 0.949299 2.105842 0.111 0.076 0.003
H 0.116295 0.411508 1.906075 -0.132 0.039 0.059
H -0.644928 1.615026 1.404888 -0.063 -0.034 0.120
```
Positions in Å, forces in eV/Å.

Computed properties:
* LUMO level: 0.9 eV
* energy above the lowest of the compared OMol25 structures with the same formula, charge and spin: 150.59 kJ/mol
* total charge: 0
* structure (SMILES): C=CCOC=O.O
* gap between HOMO and LUMO: 11.45 eV

No. 2
# C4H8O3

2 unconnected molecules or ions with the total composition C4H8O3 at a distorted geometry (ωB97M-V with the def2-TZVPD basis set, the Open Molecules 2025 dataset).

The geometry in XYZ format:
```
15
Properties=species:S:1:pos:R:3:forces:R:3
O -1.952396 1.831279 0.237154 2.340 -0.923 -1.450
C -1.059811 1.286366 -0.403360 -0.534 -2.497 -0.773
C -0.086259 0.122140 0.030864 -1.432 1.498 1.582
C 1.341563 0.623922 -0.078821 0.274 -1.015 -0.270
C 2.221453 -0.554352 0.409108 -0.708 1.128 0.436
O 3.046361 -1.082103 -0.261270 0.662 -0.593 -0.361
H -0.840203 1.257315 -1.531179 -1.018 1.699 0.721
H -0.236369 -0.838039 -0.468672 -0.318 0.505 -0.674
H -0.378617 -0.088246 1.056647 0.409 -0.091 0.455
H 1.569824 1.056506 -1.072840 0.183 -0.965 0.199
H 1.490727 1.453938 0.562029 0.086 0.798 1.127
H 2.002745 -0.911025 1.480433 0.100 0.407 -1.008
O -2.595621 -1.695418 -0.049053 -1.182 2.385 2.076
H -2.875781 -0.872738 0.530637 0.945 -2.278 -1.832
H -3.220751 -2.356237 0.281556 0.192 -0.057 -0.230
```
Positions in Å, forces in eV/Å.

Computed properties:
* LUMO level: 0.5 eV
* energy above the lowest of the compared OMol25 structures with the same formula, charge and spin: 245.71 kJ/mol
* total charge: 0
* structure (SMILES): O=CCCC=O.O
* gap between HOMO and LUMO: 10.37 eV

No. 3
# C4H8O3

A single C4H8O3 molecule (ωB97M-V with the def2-TZVPD basis set, the Open Molecules 2025 dataset).

The geometry in XYZ format:
```
15
Properties=species:S:1:pos:R:3:forces:R:3
C -1.509226 -0.730808 -0.049636 -0.002 0.062 0.016
C -0.282035 -0.304272 -0.852673 0.056 -0.332 0.176
O -0.680152 0.604827 -1.854896 0.196 0.040 -0.141
C 0.905051 0.282988 -0.035773 -0.036 -0.130 -0.001
O 0.843497 1.682558 -0.009236 0.098 0.073 0.111
C 1.018104 -0.249495 1.376992 0.124 0.171 0.208
O 1.231710 0.493355 2.307854 -0.135 -0.337 -0.380
H -2.205424 -1.233886 -0.728016 0.065 0.142 0.102
H -1.254961 -1.444123 0.743978 -0.031 0.121 -0.133
H -2.020894 0.130804 0.388152 0.125 -0.060 -0.013
H 0.115286 -1.203830 -1.345817 -0.048 0.069 0.068
H -0.137092 1.399794 -1.775692 -0.189 0.016 0.057
H 1.835334 -0.041163 -0.538385 -0.081 0.046 0.040
H 1.193667 1.957507 0.855731 -0.180 0.011 -0.105
H 0.947134 -1.344257 1.517418 0.035 0.109 -0.005
```
Positions in Å, forces in eV/Å.

Computed properties:
* LUMO level: 0.7 eV
* energy above the lowest of the compared OMol25 structures with the same formula, charge and spin: 151.72 kJ/mol
* total charge: 0
* structure (SMILES): C[C@@H](O)[C@@H](O)C=O
* gap between HOMO and LUMO: 10.95 eV

No. 4
# C4H8O3

A single C4H8O3 molecule (ωB97M-V with the def2-TZVPD basis set, the Open Molecules 2025 dataset).

The geometry in XYZ format:
```
15
Properties=species:S:1:pos:R:3:forces:R:3
........

• Job:
What is needed: write out everything above exactly.

• Outcome:
No. 1
# C4H8O3

2 unconnected molecules or ions with the total composition C4H8O3 (ωB97M-V with the def2-TZVPD basis set, the Open Molecules 2025 dataset).

The geometry in XYZ format:
```
15
Properties=species:S:1:pos:R:3:forces:R:3
C 1.870276 -0.382890 0.447321 -0.113 -0.105 -0.085
C 0.794845 -1.039042 0.018961 0.221 0.045 0.037
C 0.046024 -0.680835 -1.230733 0.217 -0.015 -0.088
O -1.364173 -0.542658 -0.971175 -0.085 0.103 0.057
C -1.793943 0.688653 -0.691891 0.135 0.301 -0.077
O -1.114529 1.685896 -0.672823 -0.291 -0.398 -0.034
H 2.420359 -0.706253 1.327584 -0.101 0.031 -0.126
H 2.239934 0.502649 -0.066226 -0.072 -0.144 0.032
H 0.427895 -1.912106 0.557630 0.056 0.114 -0.060
H 0.110044 -1.494549 -1.958132 0.005 0.105 0.085
H 0.427281 0.241944 -1.674121 -0.011 -0.141 0.059
H -2.875437 0.663358 -0.503199 0.122 0.023 0.019
O -0.659944 0.949299 2.105842 0.111 0.076 0.003
H 0.116295 0.411508 1.906075 -0.132 0.039 0.059
H -0.644928 1.615026 1.404888 -0.063 -0.034 0.120
```
Positions in Å, forces in eV/Å.

Computed properties:
* LUMO level: 0.9 eV
* energy above the lowest of the compared OMol25 structures with the same formula, charge and spin: 150.59 kJ/mol
* total charge: 0
* structure (SMILES): C=CCOC=O.O
* gap between HOMO and LUMO: 11.45 eV

No. 2
# C4H8O3

2 unconnected molecules or ions with the total composition C4H8O3 at a distorted geometry (ωB97M-V with the def2-TZVPD basis set, the Open Molecules 2025 dataset).

The geometry in XYZ format:
```
15
Properties=species:S:1:pos:R:3:forces:R:3
O -1.952396 1.831279 0.237154 2.340 -0.923 -1.450
C -1.059811 1.286366 -0.403360 -0.534 -2.497 -0.773
C -0.086259 0.122140 0.030864 -1.432 1.498 1.582
C 1.341563 0.623922 -0.078821 0.274 -1.015 -0.270
C 2.221453 -0.554352 0.409108 -0.708 1.128 0.436
O 3.046361 -1.082103 -0.261270 0.662 -0.593 -0.361
H -0.840203 1.257315 -1.531179 -1.018 1.699 0.721
H -0.236369 -0.838039 -0.468672 -0.318 0.505 -0.674
H -0.378617 -0.088246 1.056647 0.409 -0.091 0.455
H 1.569824 1.056506 -1.072840 0.183 -0.965 0.199
H 1.490727 1.453938 0.562029 0.086 0.798 1.127
H 2.002745 -0.911025 1.480433 0.100 0.407 -1.008
O -2.595621 -1.695418 -0.049053 -1.182 2.385 2.076
H -2.875781 -0.872738 0.530637 0.945 -2.278 -1.832
H -3.220751 -2.356237 0.281556 0.192 -0.057 -0.230
```
Positions in Å, forces in eV/Å.

Computed properties:
* LUMO level: 0.5 eV
* energy above the lowest of the compared OMol25 structures with the same formula, charge and spin: 245.71 kJ/mol
* total charge: 0
* structure (SMILES): O=CCCC=O.O
* gap between HOMO and LUMO: 10.37 eV

No. 3
# C4H8O3

A single C4H8O3 molecule (ωB97M-V with the def2-TZVPD basis set, the Open Molecules 2025 dataset).

The geometry in XYZ format:
```
15
Properties=species:S:1:pos:R:3:forces:R:3
C -1.509226 -0.730808 -0.049636 -0.002 0.062 0.016
C -0.282035 -0.304272 -0.852673 0.056 -0.332 0.176
O -0.680152 0.604827 -1.854896 0.196 0.040 -0.141
C 0.905051 0.282988 -0.035773 -0.036 -0.130 -0.001
O 0.843497 1.682558 -0.009236 0.098 0.073 0.111
C 1.018104 -0.249495 1.376992 0.124 0.171 0.208
O 1.231710 0.493355 2.307854 -0.135 -0.337 -0.380
H -2.205424 -1.233886 -0.728016 0.065 0.142 0.102
H -1.254961 -1.444123 0.743978 -0.031 0.121 -0.133
H -2.020894 0.130804 0.388152 0.125 -0.060 -0.013
H 0.115286 -1.203830 -1.345817 -0.048 0.069 0.068
H -0.137092 1.399794 -1.775692 -0.189 0.016 0.057
H 1.835334 -0.041163 -0.538385 -0.081 0.046 0.040
H 1.193667 1.957507 0.855731 -0.180 0.011 -0.105
H 0.947134 -1.344257 1.517418 0.035 0.109 -0.005
```
Positions in Å, forces in eV/Å.

Computed properties:
* LUMO level: 0.7 eV
* energy above the lowest of the compared OMol25 structures with the same formula, charge and spin: 151.72 kJ/mol
* total charge: 0
* structure (SMILES): C[C@@H](O)[C@@H](O)C=O
* gap between HOMO and LUMO: 10.95 eV

No. 4
# C4H8O3

A single C4H8O3 molecule (ωB97M-V with the def2-TZVPD basis set, the Open Molecules 2025 dataset).

The geometry in XYZ format:
```
15
Properties=species:S:1:pos:R:3:forces:R:3